Hi everyone,
I'm trying to define my own set of types in order to have a more
readable code and try to represent my data structures at a higher level.
This code is used for testbench only and I'm using it to define my
packets to be transmitted on my serial link.
Eventually somewhere there is a procedure handling these data types and
'sending' a std_logic signal to a DUT.
constant WORD_LENGTH : natural := 16;
constant MAX_BUF_LEN : natural := 1024;
-- data word over the link interface are 16 bit wide.
subtype data_word_t is bit_vector (WORD_LENGTH - 1 downto 0);
type buff_t is array (0 to MAX_BUF_LEN - 1) of data_word_t;
type data_buffer_t is record
len : natural; -- length of the data
buf : buff_t; -- data buffer
end record;
# Misplaced crystal structures
____________
Record 1
Computed, not measured: LiPdO4 after structural relaxation at the GGA-PBE level of DFT.

Energy = -4.65 eV/atom
Energy above the most stable polymorph in this dataset = 0.319 eV per atom

```
data_LiPdO4
_cell_length_a 4.5971
_cell_length_b 3.0375
_cell_length_c 8.7946
_cell_angle_alpha 90.00
_cell_angle_beta 90.87
_cell_angle_gamma 90.00
_symmetry_space_group_name_H-M 'P 1 2/c 1'
_symmetry_Int_Tables_number 13
loop_
_symmetry_equiv_pos_as_xyz
'x,y,z'
'-x,-y,-z'
'-x,y,-z+1/2'
'x,-y,z+1/2'
loop_
_atom_site_label
_atom_site_type_symbol
_atom_site_fract_x
_atom_site_fract_y
_atom_site_fract_z
_atom_site_occupancy
Li1 Li 0.0000 0.0000 0.0000 1
Pd1 Pd 0.5000 0.4262 0.2500 1
O1 O 0.2106 0.4861 0.1004 1
O2 O 0.3013 0.0590 0.8517 1
```

Record 2
Computed, not measured: Li6Pd4O11 after structural relaxation at the GGA-PBE level of DFT.

Energy = -5.06 eV/atom
Energy above the most stable polymorph in this dataset = 0.076 eV per atom

```
data_Li6Pd4O11
_cell_length_a 5.0362
_cell_length_b 5.1100
_cell_length_c 8.7308
_cell_angle_alpha 83.41
_cell_angle_beta 73.58
_cell_angle_gamma 80.03
_symmetry_space_group_name_H-M 'P 1'
_symmetry_Int_Tables_number 1
loop_
_symmetry_equiv_pos_as_xyz
'x,y,z'
loop_
_atom_site_label
_atom_site_type_symbol
_atom_site_fract_x
_atom_site_fract_y
_atom_site_fract_z
_atom_site_occupancy
Li1 Li 0.0000 0.0000 0.0000 1
Li2 Li 0.0349 0.2100 0.4318 1
Li3 Li 0.1506 0.4625 0.8480 1
Li4 Li 0.4295 0.4595 0.5293 1
Li5 Li 0.5180 0.7083 0.9219 1
Li6 Li 0.5720 0.9892 0.3891 1
Pd1 Pd 0.2054 0.7253 0.2519 1
Pd2 Pd 0.7012 0.2057 0.7800 1
Pd3 Pd 0.7758 0.4524 0.1790 1
Pd4 Pd 0.8672 0.7185 0.6011 1
O1 O 0.0545 0.3536 0.6430 1
O2 O 0.1242 0.6141 0.0619 1
O3 O 0.2320 0.8336 0.4602 1
O4 O 0.3635 0.0905 0.9154 1
O5 O 0.4053 0.3662 0.3047 1
O6 O 0.5149 0.5714 0.7250 1
O7 O 0.6715 0.0963 0.5744 1
O8 O 0.7866 0.3741 0.9595 1
O9 O 0.8151 0.6086 0.3866 1
O10 O 0.9044 0.8378 0.8029 1
O11 O 0.9260 0.0656 0.2404 1
```

Record 3
Computed, not measured: Li2Pd2O5 after structural relaxation at the GGA-PBE level of DFT.

Energy = -4.73 eV/atom
Energy above the most stable polymorph in this dataset = 0.139 eV per atom

```
data_Li2Pd2O5
_cell_length_a 3.3323
_cell_length_b 3.3323
_cell_length_c 7.9944
_cell_angle_alpha 90.00
_cell_angle_beta 90.00
_cell_angle_gamma 90.00
_symmetry_space_group_name_H-M 'P 4/m m m'
_symmetry_Int_Tables_number 123
_symmetry_space_group_name_Hall '-P 4 2'
loop_
_atom_site_label
_atom_site_type_symbol
_atom_site_fract_x
_atom_site_fract_y
_atom_site_fract_z
_atom_site_occupancy
Li1 Li 0.0000 0.0000 0.2333 1
Pd1 Pd 0.5000 0.5000 0.0000 1
Pd2 Pd 0.5000 0.5000 0.5000 1
O1 O 0.0000 0.0000 0.0000 1
O2 O 0.0000 0.5000 0.3483 1
```

Record 4
Computed, not measured: LiPdO4 after structural relaxation at the GGA-PBE level of DFT.

Energy = -4.65 eV/atom
Energy above the most stable polymorph in this dataset = 0.322 eV per atom

```
data_LiPdO4
_cell_length_a 6.4348
_cell_length_b 6.3286
_cell_length_c 3.0418
_cell_angle_alpha 90.00
____________
the intent of this gymnastic is to deal with bits and non negative
integers for packet lengths, but I'm facing lots of troubles when I
start to manipulate these datatypes because of conversion.
Since the header of my packets include the length I thought that simply
variable data_buffer : data_buffer_t;
variable data_word : data_word_t;
data_word := some_conversion_function(data_buffer.len);
would have been enough, but it seems to me I'm too stupid to find the
right combination of conversions.
Moreover I start to think that maybe my original choice of types is not
optimal and some people around here can direct me to a better choice of
Should I build a set of functions that allow me to manipulate these types?
Any suggestion is welcome.
I'm trying to define my own set of types in order to have a more
readable code and try to represent my data structures at a higher level.
This code is used for testbench only and I'm using it to define my
packets to be transmitted on my serial link.
Eventually somewhere there is a procedure handling these data types and
'sending' a std_logic signal to a DUT.
constant WORD_LENGTH : natural := 16;
constant MAX_BUF_LEN : natural := 1024;
-- data word over the link interface are 16 bit wide.
subtype data_word_t is bit_vector (WORD_LENGTH - 1 downto 0);
type buff_t is array (0 to MAX_BUF_LEN - 1) of data_word_t;
type data_buffer_t is record
len : natural; -- length of the data
buf : buff_t; -- data buffer
end record;
the intent of this gymnastic is to deal with bits and non negative
integers for packet lengths, but I'm facing lots of troubles when I
start to manipulate these datatypes because of conversion.
Since the header of my packets include the length I thought that simply
variable data_buffer : data_buffer_t;
variable data_word : data_word_t;
data_word := some_conversion_function(data_buffer.len);
would have been enough, but it seems to me I'm too stupid to find the
right combination of conversions.
Moreover I start to think that maybe my original choice of types is not
optimal and some people around here can direct me to a better choice of
Should I build a set of functions that allow me to manipulate these types?
Any suggestion is welcome.